Source =
+++
# Li2V3FeO8

A relaxed structure of Li2V3FeO8 (PBE+U, the Materials Project database).

Unit cell a=5.905 b=5.905 c=9.611 alpha=90.00 beta=90.00 gamma=119.34
Atoms (fractional coordinates):
Li: 0.334 0.666 0.894
Li: 0.997 0.003 0.995
Li: 0.003 0.997 0.495
Li: 0.666 0.334 0.394
V: 0.165 0.341 0.216
V: 0.659 0.835 0.216
V: 0.171 0.829 0.210
V: 0.829 0.171 0.710
V: 0.341 0.165 0.716
V: 0.835 0.659 0.716
Fe: 0.339 0.661 0.492
Fe: 0.661 0.339 0.992
O: 0.170 0.323 0.604
O: 0.481 0.519 0.337
O: 0.343 0.657 0.100
O: 0.996 0.004 0.310
O: 0.004 0.996 0.810
O: 0.677 0.830 0.604
O: 0.039 0.509 0.337
O: 0.491 0.961 0.337
O: 0.833 0.167 0.103
O: 0.167 0.833 0.603
O: 0.509 0.039 0.837
O: 0.961 0.491 0.837
O: 0.657 0.343 0.600
O: 0.323 0.170 0.104
O: 0.519 0.481 0.837
O: 0.830 0.677 0.104

Calculated values
Mass density ... 3985 kg/m³
Space group ... Cmc2_1 (36)
Energy of formation from the pure elements ... -2335 meV/atom

***

# Li2V3FeO8

A relaxed structure of Li2V3FeO8 (PBE+U, the Materials Project database).

Unit cell a=5.930 b=5.930 c=9.604 alpha=89.46 beta=89.46 gamma=120.29
Atoms (fractional coordinates):
Li: 0.334 0.670 0.106
Li: 0.003 0.000 0.005
Li: 0.000 0.003 0.505
Li: 0.670 0.334 0.606
V: 0.177 0.342 0.783
V: 0.658 0.828 0.790
V: 0.176 0.833 0.784
V: 0.833 0.176 0.284
V: 0.342 0.177 0.283
V: 0.828 0.658 0.290
Fe: 0.328 0.668 0.507
Fe: 0.668 0.328 0.007
O: 0.164 0.331 0.397
O: 0.472 0.511 0.663
O: 0.311 0.654 0.900
O: 0.010 0.005 0.690
O: 0.005 0.010 0.190
O: 0.675 0.845 0.398
O: 0.040 0.521 0.662
O: 0.471 0.961 0.664
O: 0.845 0.168 0.896
O: 0.168 0.845 0.396
O: 0.521 0.040 0.162
O: 0.961 0.471 0.164
O: 0.654 0.311 0.400
O: 0.331 0.164 0.897
O: 0.511 0.472 0.163
O: 0.845 0.675 0.898

Calculated values
Mass density ... 3993 kg/m³
Space group ... Cc (9)
Energy of formation from the pure elements ... -2335 meV/atom

***

# Li5V2Fe3O10

A relaxed structure of Li5V2Fe3O10 (PBE+U, the Materials Project database).

Unit cell a=5.166 b=5.211 c=7.819 alpha=102.26 beta=109.12 gamma=99.62
Atoms (fractional coordinates):
Li: 0.186 0.497 0.407
Li: 0.392 0.493 0.785
Li: 0.000 0.000 0.500
Li: 0.608 0.507 0.215
Li: 0.814 0.503 0.593
V: 0.591 0.986 0.681
V: 0.409 0.014 0.319
Fe: 0.000 0.500 0.000
Fe: 0.199 0.996 0.891
Fe: 0.801 0.004 0.109
O: 0.805 0.773 0.852
O: 0.591 0.220 0.935
O: 0.405 0.236 0.543
O: 0.014 0.764 0.244
O: 0.218 0.769 0.660
O: 0.782 0.231 0.340
O: 0.986 0.236 0.756
O: 0.595 0.764 0.457
O: 0.409 0.780 0.065
O: 0.195 0.227 0.148

Calculated values
Mass density ... 4103 kg/m³
Space group ... P-1 (2)
Energy of formation from the pure elements ... -2146 meV/atom

***

# Li2V3FeO8

A relaxed structure of Li2V3FeO8 (PBE+U, the Materials Project database).

Unit cell a=8.423 b=8.423 c=8.515 alpha=90.00 beta=90.00 gamma=90.00
Atoms (fractional coordinates):
Li: 0.752 0.506 0.002
Li: 0.997 0.749 0.247
Li: 0.506 0.248 0.252
Li: 0.749 0.003 0.497
Li: 0.248 0.494 0.502
Li: 0.003 0.251 0.747
Li: 0.494 0.752 0.752
Li: 0.251 0.997 0.997
V: 0.878 0.130 0.123
V: 0.131 0.374 0.127
V: 0.376 0.624 0.126
V: 0.130 0.122 0.373
V: 0.374 0.869 0.377
V: 0.624 0.624 0.376
V: 0.122 0.870 0.623
V: 0.869 0.626 0.627
V: 0.624 0.376 0.626
V: 0.870 0.878 0.873
V: 0.626 0.131 0.877
V: 0.376 0.376 0.876
Fe: 0.628 0.875 0.128
Fe: 0.875 0.372 0.378
Fe: 0.372 0.125 0.628
Fe: 0.125 0.628 0.878
O: 0.871 0.899 0.109
O: 0.641 0.113 0.112
O: 0.378 0.396 0.113
O: 0.882 0.352 0.135
O: 0.140 0.612 0.115
O: 0.116 0.135 0.139
O: 0.382 0.850 0.135
O: 0.615 0.636 0.142
O: 0.899 0.129 0.359
O: 0.113 0.359 0.362
O: 0.396 0.622 0.363
O: 0.352 0.118 0.385
O: 0.612 0.860 0.365
O: 0.135 0.884 0.389
O: 0.850 0.618 0.385
O: 0.636 0.385 0.392
O: 0.129 0.101 0.609
O: 0.359 0.887 0.612
O: 0.622 0.604 0.613
O: 0.118 0.648 0.635
O: 0.860 0.388 0.615
O: 0.884 0.865 0.639
O: 0.618 0.150 0.635
O: 0.385 0.364 0.642
O: 0.101 0.871 0.859
O: 0.887 0.641 0.862
O: 0.604 0.378 0.863
O: 0.648 0.882 0.885
O: 0.388 0.140 0.865
O: 0.865 0.116 0.889
O: 0.150 0.382 0.885
O: 0.364 0.615 0.892
+++

Request =
Your job: search the block further above for the word "Project" and return each line that has it.

Outcome =
A relaxed structure of Li2V3FeO8 (PBE+U, the Materials Project database).
A relaxed structure of Li2V3FeO8 (PBE+U, the Materials Project database).
A relaxed structure of Li5V2Fe3O10 (PBE+U, the Materials Project database).
A relaxed structure of Li2V3FeO8 (PBE+U, the Materials Project database).